What is needed: work out how many lines below have the word "above" in them; a number is enough.

<<<
In2SiNi after structural relaxation, computed with PBE.

POSCAR file:
```
In2SiNi
1.0
2.8509 -3.9529 0.0000
2.8509 3.9529 0.0000
-0.0354 0.0000 3.2548
In Si Ni
2 1 1
Cartesian
1.4255 1.9764 0.0000 In
1.4255 -1.9764 0.0000 In
-0.0177 0.0000 1.6274 Si
2.8333 0.0000 1.6274 Ni
```

## Properties
final energy = -0.283 Ry per atom
crystal system = monoclinic
symmetry = C2/m (12)
uncorrected formation energy = 0.317 eV per atom
magnetization = 0.0 μB per formula unit



YZrPS2 after structural relaxation, computed with PBE.

POSCAR file:
```
YZrPS2
1.0
4.8623 0.0000 0.0000
0.0000 4.8623 0.0000
0.0000 0.0000 5.1151
Y Zr P S
1 1 1 2
Cartesian
0.0000 0.0000 0.0000 Y
2.4311 2.4311 2.5576 Zr
2.4311 2.4311 0.0000 P
0.0000 2.4311 2.5576 S
2.4311 0.0000 2.5576 S
```

## Properties
final energy = -0.490 Ry per atom
crystal system = tetragonal
symmetry = P4/mmm (123)
energy above the most stable polymorph in this dataset = 0.000 eV/atom
uncorrected formation energy = -0.929 eV per atom
magnetization = 0.0 μB per formula unit



MgCoSe2 after structural relaxation, computed with PBE.

POSCAR file:
```
MgCoSe2
1.0
-1.7038 1.7562 6.2303
1.7038 -1.7562 6.2303
1.7038 1.7562 -6.2303
Mg Co Se
1 1 2
Cartesian
0.0000 0.0000 0.0000 Mg
1.7038 0.0000 3.1454 Co
0.0000 0.0000 5.0700 Se
0.0000 1.7562 2.1800 Se
```

## Properties
final energy = -0.312 Ry per atom
crystal system = orthorhombic
symmetry = Imm2 (44)
energy above the most stable polymorph in this dataset = 0.198 eV/atom
uncorrected formation energy = -0.326 eV per atom
magnetization = 2.2 μB per formula unit



TaVW2 after structural relaxation, computed with PBE.

POSCAR file:
```
TaVW2
1.0
3.1669 0.0000 0.0000
0.0000 3.1669 0.0000
0.0000 0.0000 6.3410
Ta V W
1 1 2
Cartesian
0.0000 0.0000 0.0000 Ta
0.0000 0.0000 3.1705 V
1.5835 1.5835 1.6569 W
1.5835 1.5835 4.6841 W
```

## Properties
final energy = -0.866 Ry per atom
calculated formation energy = -61 meV per atom
crystal system = tetragonal
symmetry = P4/mmm (123)
energy above the most stable polymorph in this dataset = 0.000 eV/atom
magnetization = 0.0 μB per formula unit



In2ReTe after structural relaxation, computed with PBE.

POSCAR file:
```
In2ReTe
1.0
3.1813 -4.2890 0.0000
3.1813 4.2890 0.0000
0.0000 0.0000 3.1422
In Re Te
2 1 1
Cartesian
1.5907 2.1445 0.0000 In
1.5907 -2.1445 0.0000 In
0.0000 0.0000 1.5711 Re
3.1813 0.0000 1.5711 Te
```

## Properties
final energy = -0.332 Ry per atom
crystal system = orthorhombic
symmetry = Cmmm (65)
uncorrected formation energy = 0.751 eV per atom
magnetization = 0.0 μB per formula unit



Hg2TeBr after structural relaxation, computed with PBE.

POSCAR file:
```
Hg2TeBr
1.0
7.4968 -2.0860 0.0000
7.4968 2.0860 0.0000
-1.2425 0.0000 4.1649
Hg Te Br
2 1 1
Cartesian
3.0167 0.0000 0.9168 Hg
10.7344 0.0000 3.2481 Hg
0.0000 0.0000 0.0000 Te
6.8755 0.0000 2.0825 Br
```

## Properties
final energy = -0.096 Ry per atom
crystal system = monoclinic
symmetry = C2/m (12)
energy above the most stable polymorph in this dataset = 0.310 eV/atom
uncorrected formation energy = 0.054 eV per atom
magnetization = 0.0 μB per formula unit



Rb2SbS2I2 after structural relaxation, computed with PBE.

POSCAR file:
```
Rb2SbS2I2
1.0
-2.6036 2.6036 9.5469
2.6036 -2.6036 9.5469
2.6036 2.6036 -9.5469
Rb Sb S I
2 1 2 2
Cartesian
0.0000 0.0000 2.4228 Rb
0.0000 0.0000 16.6711 Rb
0.0000 0.0000 9.5469 Sb
2.6036 0.0000 0.0000 S
0.0000 2.6036 0.0000 S
0.0000 0.0000 6.4165 I
0.0000 0.0000 12.6773 I
```

## Properties
final energy = -0.241 Ry per atom
crystal system = tetragonal
symmetry = I4/mmm (139)
uncorrected formation energy = -0.791 eV per atom
magnetization = 0.0 μB per formula unit



TcTeSeI2 after structural relaxation, computed with PBE.

POSCAR file:
>>>

4